+++
Entry 1:
Compound: UNi2Sn
Source: the Materials Project database
Functional: PBE
Structure: relaxed

Summary:
Total DFT energy (no corrections)   -110.83 eV for the cell shown

abc: 6.4553 6.4553 6.4553
angles: 90.00 90.00 90.00
Closest atoms and distances in Å follow each position.
Space group Fm-3m (No. 225)
Inequivalent atoms, fractional coordinates:
U  0.0000  0.0000  0.0000 x4  8 Ni 2.80
Ni  0.2500  0.2500  0.2500 x8  4 Sn 2.80, 4 U 2.80
Sn  0.0000  0.0000  0.5000 x4  8 Ni 2.80

=====

Entry 2:
Compound: U3Ni3Sn4
Source: the Materials Project database
Functional: PBE
Structure: relaxed

Summary:
Total DFT energy (no corrections)   -277.28 eV for the cell shown

abc: 9.3414 9.3414 9.3414
angles: 90.00 90.00 90.00
Closest atoms and distances in Å follow each position.
Space group I-43d (No. 220)
Inequivalent atoms, fractional coordinates:
U  0.0000  0.2500  0.3750 x12  4 Ni 2.86
Ni  0.0000  0.2500  0.8750 x12  4 Sn 2.62, 4 U 2.86
Sn  0.0844  0.0844  0.0844 x16  3 Ni 2.62

=====

Entry 3:
Compound: UNiSn
Source: the Materials Project database
Functional: PBE
Structure: relaxed

Summary:
Total DFT energy (no corrections)   -85.49 eV for the cell shown

abc: 6.3439 6.3439 6.3439
angles: 90.00 90.00 90.00
Closest atoms and distances in Å follow each position.
Space group F-43m (No. 216)
Inequivalent atoms, fractional coordinates:
U  0.0000  0.0000  0.0000 x4  4 Ni 2.75
Ni  0.2500  0.2500  0.7500 x4  4 U 2.75, 4 Sn 2.75
Sn  0.0000  0.0000  0.5000 x4  4 Ni 2.75

=====

Entry 4:
Compound: UNiSn
Source: the Materials Project database
Functional: PBE
Structure: relaxed

Summary:
Total DFT energy (no corrections)   -87.03 eV for the cell shown

abc: 11.0930 4.2028 5.8407
angles: 90.00 121.59 90.00
Closest atoms and distances in Å follow each position.
Space group C2/m (No. 12)
Inequivalent atoms, fractional coordinates:
U  0.0027  0.0000  0.2919 x4  1 U 2.46
Ni  0.1296  0.5000  0.1356 x4  1 Ni 2.45, 2 Sn 2.60
Sn  0.2087  0.5000  0.7125 x4  2 Ni 2.60
+++

Your job: filter the block further up: keep the lines with the word "no".

Total DFT energy (no corrections)   -110.83 eV for the cell shown
Total DFT energy (no corrections)   -277.28 eV for the cell shown
Total DFT energy (no corrections)   -85.49 eV for the cell shown
Total DFT energy (no corrections)   -87.03 eV for the cell shown